### Brief
Say how many lines of the contents below hold the word "best", as a bare number.
### Source
# 1
Re2TcP, PBEsol geometry, DFT meta-GGA SCAN; density = 15.3 g/cm3; final energy = -46.592 eV/atom; SG = I-4m2, No. 119; energy of formation = 321 meV per atom
1.0
-1.8455 1.8455 4.0073
1.8455 -1.8455 4.0073
1.8455 1.8455 -4.0073
Re Tc P
2 1 1
Cartesian
0.0000 0.0000 0.0000 Re
0.0000 1.8455 2.0037 Re
0.0000 0.0000 4.0073 Tc
1.8455 0.0000 2.0037 P

=====

# 2
Re2TcP, PBEsol geometry, DFT meta-GGA SCAN; density = 15.1 g/cm3; final energy = -46.950 eV/atom; SG = Amm2, No. 38; energy of formation = -36 meV per atom
1.0
3.8232 0.0000 0.0000
0.0000 1.4052 5.1471
0.0000 -1.4052 5.1471
Re Tc P
2 1 1
Cartesian
0.0000 0.0000 0.0000 Re
1.9116 0.0000 3.8099 Re
0.0000 0.0000 7.5261 Tc
1.9116 0.0000 1.4758 P

=====

# 3
ReTcP3, PBEsol geometry, DFT meta-GGA SCAN; density = 6.7 g/cm3; final energy = -26.276 eV/atom; SG = Pm-3m, No. 221; energy of formation = 1195 meV per atom
1.0
4.5443 0.0000 0.0000
0.0000 4.5443 0.0000
0.0000 0.0000 4.5443
Re Tc P
1 1 3
Cartesian
0.0000 0.0000 0.0000 Re
2.2721 2.2721 2.2721 Tc
0.0000 0.0000 2.2721 P
0.0000 2.2721 0.0000 P
2.2721 0.0000 0.0000 P

=====

# 4
Re2TeP, PBEsol geometry, DFT meta-GGA SCAN; density = 13.6 g/cm3; final energy = -46.280 eV/atom; excess energy over the best structure of this formula in the dataset = 917 meV/atom; uncorrected formation energy = 1.182 eV per atom; SG = Pmmm, No. 47
1.0
3.0812 0.0000 0.0000
0.0000 4.1521 0.0000
0.0000 0.0000 5.0696
Re Te P
2 1 1
Cartesian
0.0000 0.0000 0.0000 Re
1.5406 0.0000 2.5348 Re
0.0000 2.0760 2.5348 Te
1.5406 2.0760 0.0000 P

=====

# 5
ReTe2P, PBEsol geometry, DFT meta-GGA SCAN; density = 9.0 g/cm3; final energy = -38.508 eV/atom; uncorrected formation energy = 0.492 eV per atom; SG = Imm2, No. 44
1.0
-1.5731 2.4138 5.7245
1.5731 -2.4138 5.7245
1.5731 2.4138 -5.7245
Re Te P
1 2 1
Cartesian
0.0000 0.0000 0.0000 Re
0.0000 0.0000 5.9131 Te
0.0000 2.4138 3.4332 Te
1.5731 0.0000 1.7841 P

=====

# 6
ReTe2P, PBEsol geometry, DFT meta-GGA SCAN; density = 9.6 g/cm3; final energy = -38.668 eV/atom; uncorrected formation energy = 0.331 eV per atom; SG = Amm2, No. 38
1.0
4.3314 0.0000 0.0000
0.0000 2.5999 3.6137
0.0000 -2.5999 3.6137
Re Te P
1 2 1
Cartesian
0.0000 0.0000 0.0000 Re
0.0000 0.0000 2.9407 Te
2.1657 0.0000 5.5060 Te
2.1657 0.0000 1.0317 P

=====

# 7
Re2TeP, PBEsol geometry, DFT meta-GGA SCAN; density = 13.2 g/cm3; final energy = -47.081 eV/atom; excess energy over the best structure of this formula in the dataset = 115 meV/atom; uncorrected formation energy = 0.380 eV per atom; SG = C2/m, No. 12
1.0
3.7466 -1.5369 0.0000
3.7466 1.5369 0.0000
-1.2697 0.0000 5.8041
Re Te P
2 1 1
Cartesian
1.5138 0.0000 1.0322 Re
4.7096 0.0000 4.7720 Re
-0.6348 0.0000 2.9021 Te
3.7466 0.0000 0.0000 P

=====

# 8
Re2TeP, PBEsol geometry, DFT meta-GGA SCAN; density = 14.5 g/cm3; final energy = -46.972 eV/atom; excess energy over the best structure of this formula in the dataset = 224 meV/atom; uncorrected formation energy = 0.489 eV per atom; SG = P4/mmm, No. 123
1.0
3.0834 0.0000 0.0000
0.0000 3.0834 0.0000
0.0000 0.0000 6.3841
Re Te P
2 1 1
Cartesian
0.0000 0.0000 1.3606 Re
0.0000 0.0000 5.0235 Re
1.5417 1.5417 3.1920 Te
1.5417 1.5417 0.0000 P

=====

# 9
Re2TeP, PBEsol geometry, DFT meta-GGA SCAN; density = 13.8 g/cm3; final energy = -46.866 eV/atom; excess energy over the best structure of this formula in the dataset = 331 meV/atom; uncorrected formation energy = 0.596 eV per atom; SG = Imm2, No. 44
1.0
-1.5632 1.9626 5.2054
1.5632 -1.9626 5.2054
1.5632 1.9626 -5.2054
Re Te P
2 1 1
Cartesian
0.0000 0.0000 0.0000 Re
0.0000 1.9626 2.3140 Re
1.5632 0.0000 3.2493 Te
0.0000 0.0000 5.7627 P

=====

# 10
Re2TeP, PBEsol geometry, DFT meta-GGA SCAN; density = 13.5 g/cm3; final energy = -47.196 eV/atom; excess energy over the best structure of this formula in the dataset = 0 meV/atom; uncorrected formation energy = 0.265 eV per atom; SG = Pmm2, No. 25
1.0
3.0971 0.0000 0.0000
0.0000 4.4715 0.0000
0.0000 0.0000 4.7106
Re Te P
2 1 1
Cartesian
0.0000 0.0000 0.0000 Re
### Written answer
5